Donald George McKay, Pathology: San Francisco

The page is interrupted by crystal structures >
........
Cd5InHg7 | GGA-PBE | optimized geometry

The structure in CIF format:
```
data_Cd5InHg7
_symmetry_space_group_name_H-M 'C 1 m 1'
_symmetry_Int_Tables_number 8
_cell_length_a 14.0128
_cell_length_b 4.3295
_cell_length_c 21.5514
_cell_angle_alpha 90.00
_cell_angle_beta 90.28
_cell_angle_gamma 90.00
loop_
_symmetry_equiv_pos_as_xyz
'x,y,z'
'x,-y,z'
'x+1/2,y+1/2,z'
'x+1/2,-y+1/2,z'
loop_
_atom_site_label
_atom_site_type_symbol
_atom_site_fract_x
_atom_site_fract_y
_atom_site_fract_z
Cd1 Cd 0.0000 0.0000 0.0000
Cd2 Cd 0.0014 0.0000 0.4274
Cd3 Cd 0.1693 0.5000 0.0052
Cd4 Cd 0.2134 0.0000 0.5508
Cd5 Cd 0.2493 0.5000 0.6593
Cd6 Cd 0.3112 0.0000 0.2216
Cd7 Cd 0.4199 0.0000 0.6554
Cd8 Cd 0.4510 0.5000 0.7713
Cd9 Cd 0.4784 0.5000 0.2234
Cd10 Cd 0.4937 0.0000 0.1094
In1 In 0.1624 0.0000 0.8888
In2 In 0.1824 0.5000 0.4271
Hg1 Hg 0.0512 0.5000 0.5390
Hg2 Hg 0.0803 0.0000 0.6586
Hg3 Hg 0.1153 0.5000 0.7709
Hg4 Hg 0.1461 0.5000 0.2241
Hg5 Hg 0.1548 0.0000 0.1120
Hg6 Hg 0.1662 0.0000 0.3264
Hg7 Hg 0.2883 0.0000 0.7687
Hg8 Hg 0.3280 0.5000 0.8879
Hg9 Hg 0.3302 0.5000 0.1154
Hg10 Hg 0.3334 0.0000 0.0011
Hg11 Hg 0.3404 0.0000 0.4376
Hg12 Hg 0.3814 0.5000 0.5475
Hg13 Hg 0.4617 0.0000 0.3243
Hg14 Hg 0.4931 0.0000 0.8898
```

Results
Distance to the lowest polymorph of the same formula, meV per atom: 0
N(E_F), states/eV per cell: 13.00
Energy relative to the elements, eV per atom: 0.02

=====

Li2ScMn | GGA-PBE | optimized geometry

The structure in CIF format:
```
data_Li2ScMn
_symmetry_space_group_name_H-M 'C m m 2'
_symmetry_Int_Tables_number 35
_cell_length_a 4.2722
_cell_length_b 4.2806
_cell_length_c 8.3314
_cell_angle_alpha 90.00
_cell_angle_beta 90.00
_cell_angle_gamma 90.00
loop_
_symmetry_equiv_pos_as_xyz
'x,y,z'
'-x,-y,z'
'-x,y,z'
'x,-y,z'
'x+1/2,y+1/2,z'
'-x+1/2,-y+1/2,z'
'-x+1/2,y+1/2,z'
'x+1/2,-y+1/2,z'
loop_
_atom_site_label
_atom_site_type_symbol
_atom_site_fract_x
_atom_site_fract_y
_atom_site_fract_z
Li1 Li 0.0000 0.0000 0.0000
Li2 Li 0.0000 0.5000 0.2596
Sc1 Sc 0.0000 0.0000 0.5700
Mn1 Mn 0.0000 0.5000 0.7808
```

Results
Distance to the lowest polymorph of the same formula, meV per atom: 0
N(E_F), states/eV per cell: 4.73
Energy relative to the elements, eV per atom: 0.16

=====

Nb14OsPd | GGA-PBE | optimized geometry

The structure in CIF format:
```
data_Nb14OsPd
_symmetry_space_group_name_H-M 'P 4/m m m'
_symmetry_Int_Tables_number 123
_symmetry_space_group_name_Hall '-P 4 2'
_cell_length_a 6.5568
_cell_length_b 6.5568
_cell_length_c 6.5923
_cell_angle_alpha 90.00
_cell_angle_beta 90.00
_cell_angle_gamma 90.00
loop_
_atom_site_label
_atom_site_type_symbol
_atom_site_fract_x
_atom_site_fract_y
_atom_site_fract_z
Nb1 Nb 0.0000 0.0000 0.0000
Nb2 Nb 0.0000 0.5000 0.0000
Nb3 Nb 0.0000 0.5000 0.5000
Nb4 Nb 0.2464 0.2464 0.2520
Nb5 Nb 0.5000 0.5000 0.0000
Os1 Os 0.0000 0.0000 0.5000
Pd1 Pd 0.5000 0.5000 0.5000
```

Results
N(E_F), states/eV per cell: 13.34
Energy relative to the elements, eV per atom: -0.14

=====
........

Professor Emeritus

Donald G. McKay, M.D., professor emeritus of pathology, died on August 4, 1985 at the age of 64. He was formerly professor of pathology at UCSF and chief of anatomic pathology at San Francisco General Hospital from 1967 to 1984. An outstanding pathologist and researcher of world renown, he was identified primarily as the person who delineated the syndrome of disseminated intravascular coagulation.

A native Californian, Dr. McKay was born and grew up in Sacramento. He did his premedical studies at Berkeley and received his M.D. degree from UCSF in 1945. Following his residency in Pathology at Boston City Hospital, he served two years in the U.S. Army Medical Corps at Fort Belvoir, Virginia. Returning to Boston in 1955, he embarked on a distinguished career in academic medicine which spanned 30 years at three medical schools: Harvard, Columbia, and UCSF. At the age of 39, he left Harvard to become Delafield Professor of Pathology and Chairman of the Department at the College of Physicians and Surgeons at Columbia University, the youngest appointment to the position. During his seven-year tenure at Columbia, he successfully developed one of the finest research oriented training programs in pathology in the country. While he established his reputation in the east, he longed, however, to return to his native state and, in 1967, he left New York to become professor of pathology at UCSF and chief of pathology at San Francisco General Hospital where he remained for 17 years until his retirement.

McKay achieved international recognition in many areas of pathology. Through his research, which included 250 published papers, he contributed enormously to our understanding of disseminated intravascular clotting, shock, and toxemia of pregnancy. He was particularly interested in the participation of the blood coagulation system in obstetrical and endotoxin shock and the use of anticoagulants to prevent the deleterious effects of massive clotting in certain forms of shock. His book, Disseminated Intravascular Coagulation, remains the standard reference work in this field

20 years after publication. In the best tradition of academic medicine, many young investigators who were trained in his laboratory are now actively engaged in research on blood clotting at medical centers throughout the world.

McKay also made important contributions as an obstetric and gynecologic pathologist. His work played an important role in establishing the progression of cervical dysplasis to carcinoma-in-situ to invasive carcinoma, and he pioneered the use of histochemical techniques for studying the embryologic development of the human ovary. His expertise as a diagnostic pathologist of gynecologic tumors was legendary and resulted in a steady stream of worldwide consultations. A gifted and enthusiastic teacher, he shared his consultation cases for teaching purposes and was a role model for many students who subsequently chose pathology and gynecologic pathology as a career.

His colleagues will remember DGM as a man of energy, vision, and the utmost integrity who was greatly respected by all who worked with him. He had a fine sense of humor and it was a delight to listen to his many anecdotes and stories. A man of great courage, he maintained his humor, his farsightedness, and his sense of perspective, although severely disabled by heart disease during the last decade of his life. Always outgoing and responsive, he had a wide circle of close friends with whom he shared his interests in ranching and farming, philately (he was an avid collector of American stamps), history and world affairs. Above all, no comment could fail to mention his intense affection and loyalty for the University of California where he was educated and spent most of his professional life. He is survived by his wife, Jacoba, whose devotion and encouragement were a great support, and three children, John, Mary and George.

W. Margaretten E.L. Howes Jr.